[Work order]
Print the lines below from the one with "-3.80" to the one with "1.45" unchanged.

[Entries]
-- begin --
Record 1
Below is C14H30B5F20Li2O4 as an isolated structure in a non-equilibrium geometry, with properties calculated with the ωB97M-V functional and the def2-TZVPD basis.

Last column: Löwdin charge in e.
Atoms and positions in Å:
Li 4.22 1.46 -0.88  0.77
Li -0.70 -0.64 -0.82  0.68
B -0.63 -3.43 -2.31  -1.34
F -1.36 -4.50 -1.92  0.14
F -1.13 -2.26 -1.80  0.11
F 0.70 -3.49 -1.82  0.10
F -0.48 -3.41 -3.73  0.07
B 4.37 2.87 -2.86  -1.42
F 3.32 2.84 -1.93  0.07
F 4.09 1.88 -3.80  0.13
F 4.51 4.12 -3.38  0.14
F 5.46 2.43 -2.22  0.16
B 1.29 0.37 -4.31  -1.38
F 2.44 -0.36 -4.53  0.13
F 0.65 0.78 -5.49  0.07
F 0.48 -0.46 -3.57  0.14
F 1.67 1.46 -3.56  0.13
B 5.36 -0.86 -1.59  -1.57
F 5.05 -1.95 -0.86  0.18
F 5.70 0.21 -0.86  0.13
F 6.29 -1.21 -2.49  0.16
F 4.29 -0.50 -2.31  0.19
B 1.57 -0.13 0.13  -1.42
F 1.61 -0.82 1.28  0.19
F 0.42 0.62 0.10  0.13
F 2.73 0.58 -0.17  0.11
F 1.42 -0.99 -0.90  0.20
C 0.43 2.32 5.24  -0.19
C 1.15 2.61 3.93  -0.18
C 0.24 1.99 2.95  -0.18
O -1.09 2.09 3.51  -0.15
C -1.07 2.40 4.90  -0.20
H 0.45 3.01 6.08  0.10
H 0.72 1.32 5.56  0.11
H 2.18 2.25 3.88  0.12
H 1.23 3.69 3.83  0.11
H 0.54 0.96 2.75  0.13
H 0.28 2.69 2.12  0.14
H -1.61 1.63 5.44  0.11
H -1.38 3.42 5.10  0.11
C -4.46 -1.39 0.97  -0.17
C -4.03 0.04 1.07  -0.21
C -2.57 0.17 1.23  -0.19
O -2.11 -1.01 0.56  -0.19
C -3.14 -2.11 0.59  -0.09
H -5.33 -1.59 0.34  0.11
H -4.72 -1.61 2.00  0.10
H -4.54 0.63 1.84  0.11
H -4.37 0.60 0.19  0.10
H -2.20 0.24 2.26  0.11
H -2.26 1.13 0.83  0.12
H -2.90 -2.82 1.38  0.13
H -3.46 -2.41 -0.41  0.12
C -3.93 1.37 -2.95  -0.22
C -2.96 2.41 -2.51  -0.16
C -1.58 1.65 -2.52  -0.14
O -1.99 0.34 -2.15  -0.21
C -3.35 0.05 -2.61  -0.15
H -4.14 1.49 -4.01  0.11
H -4.87 1.56 -2.44  0.10
H -3.12 2.65 -1.46  0.10
H -3.06 3.33 -3.07  0.10
H -0.81 2.11 -1.91  0.13
H -1.18 1.47 -3.52  0.12
H -3.95 -0.43 -1.84  0.10
H -3.13 -0.52 -3.51  0.14
C 2.01 -3.39 3.43  -0.10
C 2.25 -4.10 2.08  -0.31
O 1.68 -3.40 0.99  -0.05
H 2.13 -4.02 4.32  0.04
H 1.01 -2.96 3.47  0.06
H 2.76 -2.61 3.57  0.06
H 1.73 -5.06 2.14  0.10
H 3.31 -4.31 1.94  0.10
H 1.88 -2.46 1.03  0.04

As for the multiplicity: 1. As for the net charge: -3.

---

Record 2
Below is an isolated ion of composition C14H30BO3 and charge -1 in a non-equilibrium geometry, with properties calculated with the ωB97M-V functional and the def2-TZVPD basis.

Last column: Löwdin charge in e.
Atoms and positions in Å:
C 0.52 3.48 1.28  -0.16
C -0.83 3.05 0.45  -0.24
C -0.98 1.43 0.50  -0.29
C -2.52 1.06 1.01  -0.11
B -0.50 0.61 -0.84  -0.69
C 0.61 1.38 -1.77  -0.17
C 1.73 0.22 -2.21  -0.22
C 2.87 0.20 -0.99  -0.21
C 3.01 -1.29 -0.32  -0.22
C 2.37 -1.38 1.23  -0.20
C 1.91 -2.91 1.58  -0.18
C 0.30 -3.19 1.57  -0.26
O -0.56 -2.01 1.71  -0.25
C -1.94 -2.58 1.75  -0.12
C -1.72 0.09 -1.81  -0.10
C -2.63 1.28 -2.48  -0.27
O -2.48 2.59 -2.34  -0.03
O -3.74 0.85 -3.39  -0.07
H 0.64 4.66 1.37  0.07
H 1.50 3.09 0.75  0.06
H 0.45 2.96 2.33  0.07
H -1.75 3.55 1.02  0.10
H -0.75 3.52 -0.62  0.10
H -0.27 1.06 1.39  0.11
H -3.22 1.91 0.61  0.07
H -2.86 -0.03 0.75  0.04
H -2.55 1.14 2.20  0.08
H 0.04 -0.38 -0.44  0.08
H 0.12 1.72 -2.80  0.10
H 1.22 2.22 -1.24  0.08
H 2.30 0.65 -3.15  0.09
H 1.25 -0.83 -2.40  0.10
H 3.95 0.50 -1.40  0.10
H 2.63 0.97 -0.13  0.10
H 2.44 -2.10 -0.95  0.09
H 4.15 -1.63 -0.23  0.10
H 3.31 -1.15 1.94  0.11
H 1.59 -0.55 1.45  0.10
H 2.39 -3.32 2.60  0.11
H 2.38 -3.61 0.73  0.11
H 0.07 -3.88 2.52  0.12
H 0.00 -3.87 0.63  0.13
H -1.94 -3.76 1.69  0.09
H -2.41 -2.16 2.75  0.11
H -2.54 -2.22 0.79  0.09
H -1.19 -0.48 -2.72  0.12
H -2.33 -0.74 -1.24  0.09
H -4.02 -0.10 -3.11  0.11

As for the multiplicity: 1. The relative energy (zero: lowest compared OMol25 entry of this formula, charge and spin) comes out at 89.1 kcal per mole. As for the net charge: -1.

---

Record 3
Below is a 7-piece molecular cluster, C14H30Cl12I2N2O overall in a non-equilibrium geometry, with properties calculated with the ωB97M-V functional and the def2-TZVPD basis.

Last column: Löwdin charge in e.
-- stop --

[Written answer]
F 4.09 1.88 -3.80  0.13
F 4.51 4.12 -3.38  0.14
F 5.46 2.43 -2.22  0.16
B 1.29 0.37 -4.31  -1.38
F 2.44 -0.36 -4.53  0.13
F 0.65 0.78 -5.49  0.07
F 0.48 -0.46 -3.57  0.14
F 1.67 1.46 -3.56  0.13
B 5.36 -0.86 -1.59  -1.57
F 5.05 -1.95 -0.86  0.18
F 5.70 0.21 -0.86  0.13
F 6.29 -1.21 -2.49  0.16
F 4.29 -0.50 -2.31  0.19
B 1.57 -0.13 0.13  -1.42
F 1.61 -0.82 1.28  0.19
F 0.42 0.62 0.10  0.13
F 2.73 0.58 -0.17  0.11
F 1.42 -0.99 -0.90  0.20
C 0.43 2.32 5.24  -0.19
C 1.15 2.61 3.93  -0.18
C 0.24 1.99 2.95  -0.18
O -1.09 2.09 3.51  -0.15
C -1.07 2.40 4.90  -0.20
H 0.45 3.01 6.08  0.10
H 0.72 1.32 5.56  0.11
H 2.18 2.25 3.88  0.12
H 1.23 3.69 3.83  0.11
H 0.54 0.96 2.75  0.13
H 0.28 2.69 2.12  0.14
H -1.61 1.63 5.44  0.11
H -1.38 3.42 5.10  0.11
C -4.46 -1.39 0.97  -0.17
C -4.03 0.04 1.07  -0.21
C -2.57 0.17 1.23  -0.19
O -2.11 -1.01 0.56  -0.19
C -3.14 -2.11 0.59  -0.09
H -5.33 -1.59 0.34  0.11
H -4.72 -1.61 2.00  0.10
H -4.54 0.63 1.84  0.11
H -4.37 0.60 0.19  0.10
H -2.20 0.24 2.26  0.11
H -2.26 1.13 0.83  0.12
H -2.90 -2.82 1.38  0.13
H -3.46 -2.41 -0.41  0.12
C -3.93 1.37 -2.95  -0.22
C -2.96 2.41 -2.51  -0.16
C -1.58 1.65 -2.52  -0.14
O -1.99 0.34 -2.15  -0.21
C -3.35 0.05 -2.61  -0.15
H -4.14 1.49 -4.01  0.11
H -4.87 1.56 -2.44  0.10
H -3.12 2.65 -1.46  0.10
H -3.06 3.33 -3.07  0.10
H -0.81 2.11 -1.91  0.13
H -1.18 1.47 -3.52  0.12
H -3.95 -0.43 -1.84  0.10
H -3.13 -0.52 -3.51  0.14
C 2.01 -3.39 3.43  -0.10
C 2.25 -4.10 2.08  -0.31
O 1.68 -3.40 0.99  -0.05
H 2.13 -4.02 4.32  0.04
H 1.01 -2.96 3.47  0.06
H 2.76 -2.61 3.57  0.06
H 1.73 -5.06 2.14  0.10
H 3.31 -4.31 1.94  0.10
H 1.88 -2.46 1.03  0.04

As for the multiplicity: 1. As for the net charge: -3.

---

Record 2
Below is an isolated ion of composition C14H30BO3 and charge -1 in a non-equilibrium geometry, with properties calculated with the ωB97M-V functional and the def2-TZVPD basis.

Last column: Löwdin charge in e.
Atoms and positions in Å:
C 0.52 3.48 1.28  -0.16
C -0.83 3.05 0.45  -0.24
C -0.98 1.43 0.50  -0.29
C -2.52 1.06 1.01  -0.11
B -0.50 0.61 -0.84  -0.69
C 0.61 1.38 -1.77  -0.17
C 1.73 0.22 -2.21  -0.22
C 2.87 0.20 -0.99  -0.21
C 3.01 -1.29 -0.32  -0.22
C 2.37 -1.38 1.23  -0.20
C 1.91 -2.91 1.58  -0.18
C 0.30 -3.19 1.57  -0.26
O -0.56 -2.01 1.71  -0.25
C -1.94 -2.58 1.75  -0.12
C -1.72 0.09 -1.81  -0.10
C -2.63 1.28 -2.48  -0.27
O -2.48 2.59 -2.34  -0.03
O -3.74 0.85 -3.39  -0.07
H 0.64 4.66 1.37  0.07
H 1.50 3.09 0.75  0.06
H 0.45 2.96 2.33  0.07
H -1.75 3.55 1.02  0.10
H -0.75 3.52 -0.62  0.10
H -0.27 1.06 1.39  0.11
H -3.22 1.91 0.61  0.07
H -2.86 -0.03 0.75  0.04
H -2.55 1.14 2.20  0.08
H 0.04 -0.38 -0.44  0.08
H 0.12 1.72 -2.80  0.10
H 1.22 2.22 -1.24  0.08
H 2.30 0.65 -3.15  0.09
H 1.25 -0.83 -2.40  0.10
H 3.95 0.50 -1.40  0.10
H 2.63 0.97 -0.13  0.10
H 2.44 -2.10 -0.95  0.09
H 4.15 -1.63 -0.23  0.10
H 3.31 -1.15 1.94  0.11
H 1.59 -0.55 1.45  0.10